What are some practical applications for Perl?
Lowell Hamilton
21 May 2002 15:23:21 -0700
On Tue, 2002-05-21 at 13:10, Mark Berkwitt wrote:
> I'm considering learning Perl but I don't know what Perl will give me.
Perl is a great way to get your feet wet and learn without the
strictness of other languages. If you already know the basics of
coding, then modular and object oriented techniques can be learned and
implemented with little hassle, again without the strictness at first,
### Misplaced calculated molecules
- - -
C10H29AgClNO7 as an isolated structure in a non-equilibrium geometry, computed with wB97M-V/def2-TZVPD.

Results
Spin multiplicity ... 2
Orbital gap (spin up / spin down) ... 6.31 / 2.99 eV
Charge ... +1
Energy above the lowest of the compared OMol25 structures with the same formula, charge and spin ... 241.9 kJ/mol

CARTESIAN COORDINATES (ANGSTROEM)
Ag -29.6239 -5.2925 0.3124
Cl -31.3358 -3.1789 0.9914
C -35.1824 -6.6715 2.0112
C -35.3022 -6.0135 0.6744
C -36.4804 -5.0040 0.5783
O -36.5237 -4.1904 -0.5482
C -36.4700 -4.7651 -1.8175
N -34.0275 -5.3849 0.3119
H -34.8523 -6.0150 2.8163
H -34.6779 -7.6313 1.9010
H -36.1845 -6.9163 2.3634
H -35.5741 -6.7832 -0.0479
H -36.4503 -4.3090 1.4174
H -37.4454 -5.5088 0.6249
H -36.5539 -4.0002 -2.5895
H -37.1497 -5.6026 -1.9743
H -35.5722 -5.3832 -1.8129
H -34.4252 -4.6386 -0.2404
H -33.6901 -4.9826 1.1747
C -34.6954 -0.7383 0.3418
C -36.1446 -0.4407 -0.1331
O -37.1365 -1.2220 0.5664
O -34.0344 -1.7196 -0.4538
H -34.4853 -0.7138 1.4110
H -34.1005 0.1315 0.0631
H -36.0299 -0.4583 -1.2169
H -36.4447 0.5894 0.0593
H -37.1514 -2.0730 0.1221
H -33.3255 -2.1305 0.0464
C -30.4734 0.6222 0.1858
C -30.6658 -0.0988 -1.2260
O -29.4483 -0.3684 -1.8464
O -29.7188 -0.1829 1.0739
H -31.3757 1.0188 0.6513
H -29.9903 1.5991 0.1713
H -31.1089 0.6743 -1.8538
H -31.2136 -1.0384 -1.1549
H -28.9329 0.4199 -1.6609
H -30.2073 -1.0041 1.1665
C -33.9254 -2.5170 4.5008
C -33.0572 -3.7551 4.7373
O -32.9318 -4.4506 3.4779
O -33.1708 -1.4643 3.9361
H -34.3375 -2.0567 5.3988
H -34.6532 -2.7635 3.7278
H -33.3603 -4.4855 5.4874
H -31.9960 -3.5897 4.9231
H -32.2189 -4.0617 2.9659
H -32.5350 -1.7818 3.2907

~~~~~

[1]
12
Properties=species:S:1:pos:R:3:forces:R:3 method="wB97M-V/def2-TZVPD" e_homo_ev=-9.558 lumo_energy_ha=0.0142 total_energy_ev=-8337.93931
O 1.479689 -1.065992 1.690141 0.1 0.2 0.0
C 0.681154 -0.264964 0.996014 -0.1 0.1 -0.1
C -0.515516 -0.693216 0.184417 -0.1 -0.2 0.0
C -0.582061 0.838176 -0.095507 -0.2 0.3 -0.2
O -1.322524 1.517542 -0.761861 0.3 -0.3 0.3
C 0.602858 1.064556 0.746639 0.1 0.0 0.0
H 2.174339 -0.542024 2.114989 -0.1 -0.1 0.0
H -0.955421 -0.480368 -3.199497 0.0 0.0 0.0
H -1.355863 -1.106880 0.750337 0.1 0.1 -0.1
H -0.303092 -1.320006 -0.687220 0.0 0.1 0.1
H -1.081185 0.115723 -2.771026 0.0 -0.1 -0.1
H 1.177618 1.937454 1.032577 -0.1 -0.1 0.0

=====

[2]
12
Properties=species:S:1:pos:R:3:forces:R:3 method="wB97M-V/def2-TZVPD" e_homo_ev=-9.101 lumo_energy_ha=0.0323 total_energy_ev=-8337.20465
C -1.466418 0.421381 0.657042 0.1 0.8 0.0
C -0.036909 -1.602867 0.150689 0.0 -2.2 -0.1
O -0.125857 -2.446903 -0.605140 0.1 0.6 0.3
C 1.721900 0.063741 -0.262173 0.2 0.5 0.0
C 0.708709 0.836813 -0.655072 0.0 -0.6 -0.1
O -0.310208 1.240041 0.164413 -0.6 -0.6 0.2
H -2.184968 1.221738 0.694223 -0.5 0.1 0.3
H -1.295248 -0.000775 1.658852 0.2 0.4 -0.4
H -1.942513 -0.393576 0.069167 0.8 0.8 -0.3
H 1.854653 -0.177570 0.786295 -0.1 -0.1 -0.2
H 2.422259 -0.366971 -0.971666 0.1 0.5 0.0
H 0.654600 1.204949 -1.686630 -0.3 -0.2 0.3

=====
- - -
### The calculated molecules stop here
then adding it in later. .. then you can move on to more powerful
things. CPAN has tons of modules, implementing things from SOAP/XML/RPC
to data munging and templating. Careful though, it's easy to let the
lack of structure requirements make you a sloppy coder. Always 'use
strict' and -Tw for anything more than 1 line long.
As a BSD/Linux system administrator, I used perl extensively for quick
little scripts automating day to day tasks. A very functional
database-driven app can be built in minutes.
As a web developer, I found myself getting pissed off at PHP and too
lazy to get into the complications and security thoughts that C/C++
bring in for web applications, so I use mod_perl extensively there too.
Many people think perl as CGI is dead because they are using the CGI
module or mod_cgi (like a normal CGI application), but when you use
• What comes next are data records, not part of the article:
-- begin --
Entry 1:
23
Properties=species:S:1:pos:R:3 method="wB97M-V/def2-TZVPD" orbital_gap_ha=0.328 total_charge=0 lumo_ha=0.02721
C 1.97 0.11 -1.65
C 0.07 -2.46 -1.38
C -1.13 0.61 -1.61
C 0.47 1.85 1.78
C -1.56 -0.17 2.21
O 0.99 -0.64 2.70
Si 0.31 -0.56 -1.03
P 0.14 -0.01 1.69
H 2.60 -0.83 -1.65
H 1.83 0.71 -2.60
H 2.44 0.74 -0.92
H -0.91 -2.74 -0.99
H 0.01 -2.65 -2.41
H 0.86 -2.97 -0.93
H -1.67 0.37 -2.68
H -1.79 0.79 -0.82
H -0.67 1.58 -1.89
H -0.35 2.40 1.21
H 0.45 2.07 2.83
H 1.35 2.15 1.33
H -2.10 -0.73 1.49
H -1.43 -0.54 3.20
H -1.89 0.90 2.11

Entry 2:
29
Properties=species:S:1:pos:R:3 method="wB97M-V/def2-TZVPD" orbital_gap_ha=0.263 total_charge=0 lumo_ha=-0.02129
C 3.30 -1.75 -0.27
O 2.53 -0.71 -0.85
B 1.97 0.30 -0.10
O 2.82 1.35 0.31
C 0.48 0.40 0.33
O 0.28 1.68 0.83
P -1.08 2.57 0.07
O -1.66 1.03 -0.46
C -0.66 0.09 -0.70
C -1.20 -1.32 -0.54
C -1.97 -1.53 0.77
N -3.38 -1.90 0.63
H 4.34 -1.43 -0.11
H 2.88 -2.08 0.68
H 3.30 -2.59 -0.95
H 3.63 0.98 0.66
H 0.37 -0.36 1.14
H -0.32 3.77 0.41
H -1.71 2.51 1.34
H -2.15 3.33 -0.48
H -0.39 2.60 -1.27
H -0.28 0.22 -1.73
H -1.87 -1.51 -1.38
H -0.37 -2.03 -0.63
H -1.94 -0.61 1.34
H -1.48 -2.29 1.38
H -3.52 -2.58 -0.10
H -3.92 -1.08 0.40
K 1.98 2.94 -0.71

Entry 3:
29
Properties=species:S:1:pos:R:3 method="wB97M-V/def2-TZVPD" s2=6.01 multiplicity=5 orbital_gap_ha="0.272 / 0.270" total_charge=+1 lumo_ha="-0.20995 / -0.21328"
Cr 0.69 -1.37 -2.58
Cl -0.14 0.07 -1.58
O -3.58 0.68 0.45
S -2.64 0.80 1.58
O -3.13 0.94 2.94
O -1.62 -0.54 1.58
C -1.77 -1.58 0.55
C -0.90 -2.80 0.76
C -1.34 2.06 1.29
H -1.45 -1.22 -0.43
H -2.82 -1.83 0.36
H -1.23 -3.29 1.68
H 0.14 -2.65 1.07
H -0.94 -3.56 -0.01
H -1.74 3.07 1.39
H -0.90 1.95 0.30
H -0.58 1.87 2.05
C 2.36 0.56 -2.41
O 2.30 -0.84 -2.36
H 2.52 0.78 -1.36
H 3.28 0.98 -2.81
H 1.47 1.01 -2.85
H 3.16 -1.11 -2.03
C 1.74 0.92 0.64
O 0.84 1.78 -0.02
H 2.58 0.68 -0.02
H 2.17 1.44 1.50
H 1.17 0.03 0.91
H 0.35 1.19 -0.60

Entry 4:
29
Properties=species:S:1:pos:R:3 method="wB97M-V/def2-TZVPD" orbital_gap_ha=0.281 total_charge=-1 lumo_ha=0.10405
I 12.71 19.09 34.24
C 16.02 20.97 38.55
C 14.82 20.27 37.96
O 14.73 20.61 36.57
O 17.18 20.97 37.62
H 16.29 20.57 39.52
H 15.92 22.01 38.86
H 13.96 20.41 38.61
H 15.07 19.21 37.95
H 14.10 20.03 36.14
H 17.79 20.59 38.24
C 11.12 15.09 30.46
C 11.33 16.39 31.20
O 12.19 16.19 32.28
O 11.95 14.85 29.42
H 10.16 15.10 29.95
H 11.01 14.22 31.12
H 10.31 16.65 31.51
H 11.65 17.11 30.44
H 12.27 16.99 32.80
H 12.61 14.25 29.77
C 11.45 19.93 30.07
O 11.12 19.81 28.88
N 12.66 20.04 30.46
N 10.61 19.98 31.15
H 13.42 19.85 29.83
H 12.84 20.28 31.42
H 10.94 19.58 32.02
H 9.61 20.05 30.98

Entry 5:
24
Properties=species:S:1:pos:R:3 method="wB97M-V/def2-TZVPD" orbital_gap_ha=0.361 total_charge=0 lumo_ha=0.02248
C 0.50 -1.10 1.96
N 0.60 -1.43 0.54
C 1.65 -0.39 0.14
C 1.29 1.11 0.16
C 1.04 1.61 -1.33
C -0.41 1.09 -1.84
N -1.49 1.73 -1.04
H 0.70 -0.07 2.21
H 1.33 -1.75 2.42
H -0.39 -1.38 2.39
H -0.37 -1.13 -0.04
H 2.14 -0.60 -0.84
H 2.54 -0.40 0.81
-- stop --
mod_perl handlers or registry scripts instead of plain cgi scripts,
there is less of a performance hit and more control possible than with
other languages... and you can learn all the details about how the
apache internals work =)
I've tinkered with other languages, and each brings it own advantages
and disadvantages to the table ... and it comes a down to personal
preference and what you are looking to get out of it. If you wanna do
web/CGI or many network related functions, look at both mod_perl and php
(and maybe even java since that's the buzzword these days). If you're
going for system administration, perl or shell scripts are awesome and
quick to build. If you're buildling database or data munging data, perl
rocks hands down ... if you're building gui apps (non-web), don't even
bother with perl.
Also keep in mind it's interpreted ... so startup time for applications
will be slow, especially if you are loading some big modules .. so
something like a busy inetd-called server or script that is called a few
times a second will make your system crawl (with an exception for
mod_perl cgi applications, which integrate into httpd on startup and
remain compiled). Daemons aren't too bad, but are difficult to write
and stability is iffy.
: Lowell Hamilton syz@b r o k e n - b i t . c o m :
: Linux OpenBSD Security QMail Perl/Mod_perl SQL :